_Given_
- - -
Mg2Co3O8 | meta-GGA r2SCAN | optimized geometry

Results
formation energy	-1688	meV/atom
crystal system	monoclinic
distance to the lowest polymorph of the same formula	8	meV/atom
symmetry	No. 12
total moment	3.00	μB/f.u.

Cell: 5.7376 5.7376 4.7497 Å, 72.81 72.81 58.35°
Element x y z (fractional)
Mg (0.7261, 0.7261, 0.3432)
Mg (0.2739, 0.2739, 0.6568)
O (0.1154, 0.6620, 0.4029)
O (0.8846, 0.3380, 0.5971)
O (0.3380, 0.8846, 0.5971)
O (0.6023, 0.6023, 0.0734)
O (0.6620, 0.1154, 0.4029)
O (0.1054, 0.1054, 0.0849)
O (0.8946, 0.8946, 0.9151)
O (0.3977, 0.3977, 0.9266)
Co (0.0000, 0.0000, 0.5000)
Co (0.2585, 0.7415, 0.0000)
Co (0.7415, 0.2585, 0.0000)

~~~~~

VASP calculation (r2SCAN) on a relaxed structure of ZrF4.

Cell: 7.907 7.907 7.728 Å, 90.00 90.00 90.00°
Space group P4_2/m (No. 84)
Inequivalent atoms, fractional coordinates:
Zr  0.181  0.683  0.230 [8 per cell]
F  0.000  0.500  0.299 [4 per cell]
F  0.060  0.211  0.192 [8 per cell]
F  0.165  0.538  0.000 [4 per cell]
F  0.171  0.209  0.500 [4 per cell]
F  0.196  0.682  0.500 [4 per cell]
F  0.297  0.437  0.288 [8 per cell]

Output
total DFT energy (no corrections)	-11.078	eV per atom
M_tot	0.0	μB per cell
ΔE_f	-4.0274	eV per atom
V	12.08	Å³/atom

~~~~~

No. 1
Computed, not measured: crystalline GaPt at its relaxed geometry at the meta-GGA r2SCAN level of DFT.

Lattice parameters (Å, degrees): 4.922 4.922 4.922 90.00 90.00 90.00
Positions (direct):
Ga 0.093 0.093 0.093
Ga 0.407 0.907 0.593
Ga 0.593 0.407 0.907
Ga 0.907 0.593 0.407
Pt 0.101 0.601 0.899
Pt 0.399 0.399 0.399
Pt 0.601 0.899 0.101
Pt 0.899 0.101 0.601

Its formation energy is -0.69 eV/atom.



No. 2
Computed, not measured: crystalline K2Cr2O7 at its relaxed geometry at the meta-GGA r2SCAN level of DFT.

Lattice parameters (Å, degrees): 7.348 7.400 13.355 95.43 98.14 90.80
Positions (direct):
K 0.109 0.159 0.141
K 0.252 0.261 0.846
K 0.309 0.844 0.640
K 0.338 0.584 0.341
K 0.662 0.416 0.659
K 0.691 0.156 0.360
K 0.748 0.739 0.154
K 0.891 0.841 0.859
Cr 0.181 0.073 0.388
Cr 0.188 0.347 0.583
Cr 0.204 0.688 0.087
Cr 0.406 0.726 0.895
Cr 0.594 0.274 0.105
Cr 0.796 0.312 0.913
Cr 0.812 0.653 0.417
Cr 0.819 0.927 0.612
O 0.019 0.982 0.302
O 0.035 0.818 0.055
O 0.041 0.438 0.650
O 0.072 0.206 0.477
O 0.129 0.522 0.142
O 0.276 0.885 0.852
O 0.293 0.601 0.976
O 0.302 0.919 0.442
O 0.309 0.503 0.543
O 0.312 0.203 0.335
O 0.327 0.222 0.650
O 0.361 0.804 0.164
O 0.403 0.190 0.044
O 0.443 0.584 0.800
O 0.557 0.416 0.200
O 0.597 0.810 0.956
O 0.639 0.196 0.836
O 0.673 0.778 0.350
O 0.688 0.797 0.665
O 0.691 0.497 0.457
O 0.698 0.081 0.558
O 0.707 0.399 0.024
O 0.724 0.115 0.148
O 0.871 0.478 0.858
O 0.928 0.794 0.523
O 0.959 0.562 0.350
O 0.965 0.182 0.945
O 0.981 0.018 0.698

Its formation energy is -2.01 eV/atom.



No. 3
Computed, not measured: crystalline Na2Re3S6 at its relaxed geometry at the meta-GGA r2SCAN level of DFT.

Lattice parameters (Å, degrees): 9.308 9.308 11.563 92.80 92.80 62.67
Positions (direct):
Na 0.085 0.915 0.750
Na 0.140 0.607 0.993
Na 0.284 0.716 0.250
Na 0.393 0.860 0.507
Na 0.607 0.140 0.493
Na 0.716 0.284 0.750
Na 0.860 0.393 0.007
Na 0.915 0.085 0.250
Re 0.022 0.383 0.631
Re 0.096 0.308 0.412
Re 0.200 0.488 0.533
Re 0.308 0.096 0.912
Re 0.383 0.022 0.131
Re 0.488 0.200 0.033
Re 0.512 0.800 0.967
Re 0.617 0.978 0.869
Re 0.692 0.904 0.088
Re 0.800 0.512 0.467
Re 0.904 0.692 0.588
Re 0.978 0.617 0.369
S 0.043 0.227 0.804
S 0.083 0.772 0.492
S 0.117 0.560 0.731
S 0.203 0.292 0.070
S 0.227 0.043 0.304
S 0.228 0.917 0.008
S 0.251 0.423 0.331
S 0.292 0.203 0.570
S 0.423 0.251 0.831
S 0.440 0.883 0.769
S 0.466 0.469 0.577
S 0.469 0.466 0.077
S 0.531 0.534 0.923
- - -
_Wanted_
Print only the last part of the entries earlier on, starting with the line that has "0.188 0.347".
_Response_
Cr 0.188 0.347 0.583
Cr 0.204 0.688 0.087
Cr 0.406 0.726 0.895
Cr 0.594 0.274 0.105
Cr 0.796 0.312 0.913
Cr 0.812 0.653 0.417
Cr 0.819 0.927 0.612
O 0.019 0.982 0.302
O 0.035 0.818 0.055
O 0.041 0.438 0.650
O 0.072 0.206 0.477
O 0.129 0.522 0.142
O 0.276 0.885 0.852
O 0.293 0.601 0.976
O 0.302 0.919 0.442
O 0.309 0.503 0.543
O 0.312 0.203 0.335
O 0.327 0.222 0.650
O 0.361 0.804 0.164
O 0.403 0.190 0.044
O 0.443 0.584 0.800
O 0.557 0.416 0.200
O 0.597 0.810 0.956
O 0.639 0.196 0.836
O 0.673 0.778 0.350
O 0.688 0.797 0.665
O 0.691 0.497 0.457
O 0.698 0.081 0.558
O 0.707 0.399 0.024
O 0.724 0.115 0.148
O 0.871 0.478 0.858
O 0.928 0.794 0.523
O 0.959 0.562 0.350
O 0.965 0.182 0.945
O 0.981 0.018 0.698

Its formation energy is -2.01 eV/atom.



No. 3
Computed, not measured: crystalline Na2Re3S6 at its relaxed geometry at the meta-GGA r2SCAN level of DFT.

Lattice parameters (Å, degrees): 9.308 9.308 11.563 92.80 92.80 62.67
Positions (direct):
Na 0.085 0.915 0.750
Na 0.140 0.607 0.993
Na 0.284 0.716 0.250
Na 0.393 0.860 0.507
Na 0.607 0.140 0.493
Na 0.716 0.284 0.750
Na 0.860 0.393 0.007
Na 0.915 0.085 0.250
Re 0.022 0.383 0.631
Re 0.096 0.308 0.412
Re 0.200 0.488 0.533
Re 0.308 0.096 0.912
Re 0.383 0.022 0.131
Re 0.488 0.200 0.033
Re 0.512 0.800 0.967
Re 0.617 0.978 0.869
Re 0.692 0.904 0.088
Re 0.800 0.512 0.467
Re 0.904 0.692 0.588
Re 0.978 0.617 0.369
S 0.043 0.227 0.804
S 0.083 0.772 0.492
S 0.117 0.560 0.731
S 0.203 0.292 0.070
S 0.227 0.043 0.304
S 0.228 0.917 0.008
S 0.251 0.423 0.331
S 0.292 0.203 0.570
S 0.423 0.251 0.831
S 0.440 0.883 0.769
S 0.466 0.469 0.577
S 0.469 0.466 0.077
S 0.531 0.534 0.923